Source code for intelligence_layer.evaluation.aggregation.domain

from import Iterable, Sequence
from datetime import datetime
from typing import Generic, TypeVar

from pydantic import BaseModel, SerializeAsAny

from intelligence_layer.connectors.base.json_serializable import (
from intelligence_layer.evaluation.evaluation.domain import (
from import RunOverview

[Records of molecules from another source follow]
____________
<a>
Formula: C2H7NO
Source: OMol25
Level of theory: wB97M-V/def2-TZVPD

Element x y z (Å)
C: 0.471 2.097 -1.736
C: 0.021 1.319 -0.759
O: -0.030 -0.040 -0.966
H: 0.567 3.167 -1.706
H: 0.784 1.584 -2.638
H: -0.362 1.649 0.198
H: -0.267 -0.437 -0.131
N: -0.359 -2.088 1.799
H: -0.498 -2.086 2.806
H: -0.938 -2.859 1.494
H: 0.610 -2.307 1.639

Results
**SMILES**: C=CO.N
**Spin multiplicity**: 1
**Net charge**: 0
**HOMO energy**: -0.3206 Ha

Results of the Löwdin charge analysis, in e, for atoms 1 through 6: C -0.004; C -0.278; O -0.027; H 0.043; H 0.058; H 0.108

=====

<b>
Formula: C2H7NO
Source: OMol25
Level of theory: wB97M-V/def2-TZVPD

Element x y z (Å)
C: 0.110 -1.702 2.044
C: 1.003 -0.808 1.596
N: 1.635 -0.855 0.296
H: -0.260 -2.616 1.706
H: -0.381 -1.578 3.049
H: 1.337 0.100 2.073
H: 1.676 -1.631 -0.177
H: 2.351 -0.133 0.067
O: -2.754 2.883 -3.834
H: -2.148 2.536 -3.175
H: -2.570 3.804 -3.645

Results
**SMILES**: C=CN.O
**Spin multiplicity**: 1
**Net charge**: 0
**HOMO energy**: -0.3060 Ha

Results of the Löwdin charge analysis, in e, for atoms 1 through 6: C -0.040; C -0.250; N 0.038; H 0.015; H 0.056; H 0.091

=====

<c>
Formula: C2H7NO
Source: OMol25
Level of theory: wB97M-V/def2-TZVPD

Element x y z (Å)
C: -1.834 0.416 -0.382
C: -0.794 1.201 -0.116
N: 0.270 0.942 0.709
H: -1.961 -0.582 0.030
H: -2.607 0.811 -1.022
H: -0.782 2.189 -0.569
H: 0.419 0.000 1.027
H: 1.104 1.487 0.594
O: 1.811 -2.035 -0.101
H: 0.854 -2.165 -0.141
H: 2.028 -1.476 -0.856

Results
**SMILES**: C=CN.O
**Spin multiplicity**: 1
**Net charge**: 0
**HOMO energy**: -0.3039 Ha

Results of the Löwdin charge analysis, in e, for atoms 1 through 6: C -0.047; C -0.326; N 0.042; H 0.041; H 0.032; H 0.102

=====

<d>
Formula: C2H7NO
Source: OMol25
Level of theory: wB97M-V/def2-TZVPD

Element x y z (Å)
C: -0.677 -1.035 -1.266
C: 0.289 -0.089 -1.274
N: 1.253 -0.034 -0.236
H: -0.521 -1.896 -0.597
H: -1.353 -1.199 -2.102
H: 0.035 0.821 -1.803
H: 1.809 -0.879 -0.195
H: 1.846 0.740 -0.519
O: -0.800 1.034 2.217
H: -1.524 0.564 2.660
H: -0.482 0.310 1.658

Results
**SMILES**: C=CN.O
**Spin multiplicity**: 1
**Net charge**: 0
**HOMO energy**: -0.3232 Ha

Results of the Löwdin charge analysis, in e, for atoms 1 through 6: C -0.035; C -0.292; N 0.019; H 0.051; H 0.040; H 0.097

=====

Stability, highest: <c>

=====

<a>
Formula: C2H7NO
Source: OMol25
Level of theory: wB97M-V/def2-TZVPD

Element x y z (Å)
N: 0.251 1.853 -0.570
C: -0.064 0.691 0.460
C: 0.068 -0.621 -0.223
O: -0.254 -1.876 0.540
H: 0.466 1.419 -1.502
H: -0.463 2.518 -0.825
H: 0.840 0.794 1.145
H: -1.000 0.866 0.928
H: -0.592 -0.545 -1.024
H: 1.030 -0.776 -0.483
H: -0.030 -2.654 0.011

Results
**SMILES**: NCCO
**Spin multiplicity**: 1
**Net charge**: 0
**HOMO energy**: -0.3507 Ha

Results of the Löwdin charge analysis, in e, for atoms 1 through 6: N -0.023; C -0.202; C -0.241; O -0.091; H 0.061; H 0.036

=====

<b>
Formula: C2H7NO
Source: OMol25
Level of theory: wB97M-V/def2-TZVPD

Element x y z (Å)
N: -0.115 1.554 -4.497
____________

AggregatedEvaluation = TypeVar("AggregatedEvaluation", bound=BaseModel, covariant=True)

Inserted here: data records
____________
The following is a quantum chemistry calculation of a cluster of 2 separate species, C7H16BO7S in total, from the Open Molecules 2025 dataset.

Its gap between HOMO and LUMO is 0.2601 Ha. The net charge is -1. The LUMO energy comes out at 2.912 eV. The molar mass comes out at 255.08 g mol⁻¹.

Last column: Löwdin charge in e.
Atoms and positions in Å:
C 4.27359 2.06116 0.60039  -0.0990
C 4.37325 0.52795 0.31591  -0.2186
C 2.96819 -0.16645 0.31571  -0.2298
O 2.14676 0.55153 -0.58922  -0.0814
C 0.89323 0.78866 -0.00775  -0.4193
C -0.20802 1.53237 -0.83863  -0.1448
O -1.29077 1.41068 0.09417  -0.1853
B -0.62285 1.58173 1.43860  -0.6008
O 0.86442 1.56514 1.17282  -0.0986
H 4.95179 2.58302 -0.09866  0.0604
H 3.25588 2.45811 0.45182  0.0657
H 4.55287 2.23740 1.65659  0.0675
H 4.82539 0.29282 -0.66680  0.0939
H 4.97462 0.02791 1.10455  0.0957
H 3.04828 -1.23577 0.01259  0.1175
H 2.58277 -0.17620 1.35313  0.1265
H 0.37445 -0.15377 0.31010  0.1445
H -0.01277 2.62986 -0.80248  0.1235
H -0.45144 1.16397 -1.85413  0.1121
H -0.95405 2.64362 1.91055  0.0492
H -0.80313 0.59207 2.13583  0.0576
C -3.25718 -1.14779 -0.17630  -0.1520
C -3.83543 -1.35109 -1.56210  -0.1649
O -3.62767 -2.74073 -1.84792  -0.1999
S -3.72374 -3.58292 -0.47302  0.6213
O -5.04152 -4.12828 -0.36675  -0.2461
O -2.55508 -4.39452 -0.36113  -0.2335
O -3.60563 -2.34267 0.54743  -0.1885
H -2.17016 -1.06681 -0.20884  0.1258
H -3.66602 -0.27106 0.31796  0.1393
H -3.34771 -0.72957 -2.30868  0.1344
H -4.91230 -1.16037 -1.57574  0.1278

=====

The following is a quantum chemistry calculation of a structure of composition C16H15BrMnN5O3S, from the Open Molecules 2025 dataset.

Its spin multiplicity is 6. Its gap between HOMO and LUMO (spin up / spin down) is 0.1810 / 0.2710 Ha. The expectation value of S² is 8.9818. The net charge is -1. The LUMO energy (spin up / spin down) comes out at 2.504 / 2.507 eV. The value obtained for the energy relative to the best compared isomer or geometry (same formula, charge and spin) is 49.1 kJ/mol. The molar mass comes out at 492.24 g mol⁻¹.

Last column: Löwdin charge in e.
Atoms and positions in Å:
Mn 0.21882 -0.03581 0.26367  0.6904
C -2.89556 -2.31724 -1.73920  -0.0504
C -1.62893 -1.68782 -1.25338  -0.2958
N -1.59958 -0.55809 -0.54773  -0.1264
N -2.77184 0.13308 -0.32292  -0.0096
C -2.56188 1.27317 0.23341  -0.8553
N -3.66885 2.06878 0.53822  0.0222
S -1.00348 1.92395 0.71181  0.6334
C -0.36138 -2.23854 -1.55271  -0.2351
C -0.17410 -3.40269 -2.34082  -0.0442
C 1.08483 -3.85701 -2.60475  -0.1021
C 2.20052 -3.16324 -2.08949  -0.0937
C 1.96496 -2.04611 -1.32401  -0.1413
N 0.74470 -1.57208 -1.05541  0.0059
H -3.75124 -1.73940 -1.40348  0.0531
H -2.99529 -3.33998 -1.36686  0.0783
H -2.92127 -2.36886 -2.83174  0.0767
H -4.45051 1.86962 -0.07016  0.0729
H -3.45043 3.05088 0.59190  0.0478
H -1.03926 -3.92555 -2.72618  0.0943
H 1.22093 -4.74743 -3.20727  0.0925
H 3.21416 -3.49469 -2.25965  0.0845
H 2.77396 -1.47211 -0.89054  0.0942
C 2.13242 2.04276 1.69408  -0.1074
____________
So much for the data records

[docs] class AggregationOverview(BaseModel, Generic[AggregatedEvaluation], frozen=True): """Complete overview of the results of evaluating a :class:`Task` on a dataset. Created when running :meth:`Evaluator.eval_and_aggregate_runs`. Contains high-level information and statistics. Attributes: evaluation_overviews: :class:`EvaluationOverview`s used for aggregation. id: Aggregation overview ID. start: Start timestamp of the aggregation. end: End timestamp of the aggregation. end: The time when the evaluation run ended successful_evaluation_count: The number of examples that where successfully evaluated. crashed_during_evaluation_count: The number of examples that crashed during evaluation. failed_evaluation_count: The number of examples that crashed during evaluation plus the number of examples that failed to produce an output for evaluation. run_ids: IDs of all :class:`RunOverview`s from all linked :class:`EvaluationOverview`s. description: A short description. statistics: Aggregated statistics of the run. Whatever is returned by :meth:`Evaluator.aggregate` labels: Labels for filtering aggregation. Defaults to empty list. metadata: Additional information about the aggregation. Defaults to empty dict. """ evaluation_overviews: frozenset[EvaluationOverview] id: str start: datetime end: datetime successful_evaluation_count: int crashed_during_evaluation_count: int description: str statistics: SerializeAsAny[AggregatedEvaluation] labels: set[str] = set() metadata: SerializableDict = dict() @property def run_ids(self) -> Sequence[str]: return [ for overview in self.run_overviews()] def run_overviews(self) -> Iterable[RunOverview]: return set( run_overview for evaluation_overview in self.evaluation_overviews for run_overview in evaluation_overview.run_overviews ) @property def failed_evaluation_count(self) -> int: return self.crashed_during_evaluation_count + sum( run_overview.failed_example_count for run_overview in self.run_overviews() ) def raise_on_evaluation_failure(self) -> None: if self.crashed_during_evaluation_count > 0: raise EvaluationFailed(, self.crashed_during_evaluation_count) def __repr__(self) -> str: return self.__str__() def __str__(self) -> str: res = ( f"Aggregation Overview ID = {}\n" f"Start time = {self.start}\n" f"End time = {self.end}\n" f"Successful example count = {self.successful_evaluation_count}\n" f"Count of examples crashed during evaluation = {self.failed_evaluation_count}\n" f'Description = "{self.description}"\n' f"Labels = {self.labels}\n" f"Metadata = {self.metadata}\n" ) res += f"IDs of aggregated Evaluation Overviews = {[ for evaluation_overview in self.evaluation_overviews]}\n" res += f"IDs of aggregated Run Overviews = {self.run_ids}\n" res += "Statistics = {\n" res += f"{self.statistics}\n" res += "}\n" return res def __hash__(self) -> int: return hash(